(What to do)
The reader should return everything underneath word for word.

(Given)
........
(1)
ORCA calculation (wB97M-V/def2-TZVPD) on a molecular structure, C15H13F5N4O5RuSe in a non-equilibrium geometry.

Atoms and positions in Å:
C -0.024 2.569 1.713
N -3.196 2.566 -0.062
Se 2.453 -0.148 0.392
Ru 0.092 -0.171 0.690
H -0.286 -2.629 -0.412
C -2.280 3.289 0.651
H -4.043 2.986 -0.426
H -1.464 -2.518 3.597
C 2.730 -2.032 -1.925
O -1.611 5.424 1.509
H 0.242 -2.372 3.164
N -0.885 -0.702 2.617
H -0.958 -3.903 1.541
C 4.987 -0.750 -2.816
C -0.776 -2.160 2.832
H -1.858 -0.413 2.599
C -1.294 2.406 0.969
F 5.122 -2.274 -4.594
H -2.043 -2.565 1.141
N -1.620 1.170 0.457
C 3.171 -0.933 -1.205
C 0.048 -0.075 -1.156
H -0.423 -0.152 3.338
F 6.075 -0.128 -3.239
C -3.504 0.229 -0.913
H -2.942 -0.701 -0.862
O -3.581 5.197 0.486
C -2.774 1.295 -0.181
H -0.813 4.870 1.725
C 4.323 -0.306 -1.686
C 3.364 -2.493 -3.061
O 0.665 1.475 1.817
C 4.503 -1.846 -3.512
F 4.816 0.752 -1.053
C -1.042 -2.817 1.494
H -3.628 0.495 -1.963
F 1.641 -2.714 -1.521
O -0.099 0.085 -2.272
N -0.070 -2.269 0.511
H -4.492 0.064 -0.483
F 2.888 -3.547 -3.711
H 0.855 -2.640 0.714
C -2.544 4.740 0.894
O 0.273 3.647 2.201

LUMO level (alpha / beta) = -3.46 / -5.37 eV
Charge = +1
Relative energy (zero: lowest compared OMol25 entry of this formula, charge and spin) = 150.4 kJ/mol
F_max = 1.1 eV Å⁻¹
2S+1 = 2
Gap between HOMO and LUMO (alpha / beta) = 8.262 / 6.924 eV
Calculated total energy = -113475.376 eV
E_HOMO (alpha / beta) = -11.73 / -12.29 eV


(2)
ORCA calculation (wB97M-V/def2-TZVPD) on a molecular structure, C15H13N2NiO7SbSe4Si.

Atoms and positions in Å:
H 2.205 -1.922 -1.444
H -0.916 -3.146 -3.274
Se -1.113 0.104 -3.959
H 1.675 -0.559 0.461
Se -0.197 -0.054 -7.768
H 2.446 3.432 2.328
C 0.830 -0.976 1.000
C 0.452 2.861 2.898
C 0.837 -0.959 2.389
H -0.260 -1.429 4.173
N 2.530 2.644 -0.121
C -0.943 1.872 1.187
C -0.248 -1.464 3.090
H -2.191 -2.400 0.485
Si -0.217 -1.474 -1.598
C 1.345 2.546 0.731
C -2.330 1.301 0.894
H 1.657 -1.763 -3.126
H -2.143 -3.007 -2.016
N 0.619 3.293 4.266
C -1.331 -1.991 2.397
C 0.123 1.975 0.224
H 1.907 -0.314 -2.134
O 0.042 1.640 -0.999
Sb -0.606 -1.510 -5.934
O -3.197 1.460 1.751
O 2.705 1.810 -0.982
C -1.328 -2.010 1.011
O 1.680 3.816 4.588
C 1.508 3.001 2.017
H -1.582 2.200 3.162
H 1.677 -0.527 2.921
C 1.565 -1.350 -2.122
H -0.639 -3.884 -1.690
O 3.258 3.620 0.035
C -1.068 -3.018 -2.206
C -0.754 2.304 2.477
Se -2.339 -3.217 -6.008
O -0.302 3.119 5.051
Se 0.963 -3.356 -5.425
Ni -1.361 0.523 -1.752
C -0.247 -1.504 0.286
H -2.189 -2.367 2.941
O -2.526 0.677 -0.207

LUMO level (alpha / beta) = 3.75 / 2.78 eV
Charge = -2
F_max = 0.9 eV Å⁻¹
2S+1 = 3
Gap between HOMO and LUMO (alpha / beta) = 6.992 / 5.965 eV
Calculated total energy = -349922.835 eV
E_HOMO (alpha / beta) = -3.24 / -3.19 eV


(3)
ORCA calculation (wB97M-V/def2-TZVPD) on a single C15H13N3O3S2 molecule in a non-equilibrium geometry.

Atoms and positions in Å:
C -0.809 -1.425 3.091
S -1.764 -2.904 3.162
C 1.734 3.773 -3.674
H 0.312 5.443 -3.304
N -0.928 1.304 1.589
C -1.262 1.249 0.210
O 1.350 1.256 1.572
H 0.031 0.252 -2.457
C 0.271 0.972 3.672
H -0.501 -5.612 -0.782
H 0.068 1.926 4.161
H 2.573 4.202 -4.182
C 0.616 4.417 -3.245
H 2.243 1.610 -3.486
H 0.720 1.248 -0.211
H 1.090 -3.891 -1.506
C -0.049 -2.404 1.286
O -0.226 3.559 -2.650
C 1.562 2.416 -3.308
S -1.022 -0.166 4.263
N 0.003 -1.317 2.107
H -1.836 -5.313 1.275
C -0.366 1.191 -2.056
H -1.440 1.250 -2.257
O -2.428 1.217 -0.105
C -1.135 -4.559 0.957
N -0.211 1.215 -0.616
C -0.965 -3.399 1.691
C 0.697 -2.580 0.126
H -1.746 1.244 2.185
C 0.520 -3.737 -0.603
H 1.244 0.599 3.992
C 0.347 2.338 -2.690
C 0.297 1.155 2.161
C -0.383 -4.716 -0.193
H 1.394 -1.813 -0.173

LUMO level = 0.47 eV
SMILES = O=C(CSc1nc2ccccc2s1)NC(=O)NCc1ccco1
Relative energy (zero: lowest compared OMol25 entry of this formula, charge and spin) = 1.2 kJ/mol
F_max = 1.0 eV Å⁻¹
Gap between HOMO and LUMO = 9.109 eV
Calculated total energy = -48050.332 eV
E_HOMO = -8.64 eV


(4)
........

(Worked solution)
(1)
ORCA calculation (wB97M-V/def2-TZVPD) on a molecular structure, C15H13F5N4O5RuSe in a non-equilibrium geometry.

Atoms and positions in Å:
C -0.024 2.569 1.713
N -3.196 2.566 -0.062
Se 2.453 -0.148 0.392
Ru 0.092 -0.171 0.690
H -0.286 -2.629 -0.412
C -2.280 3.289 0.651
H -4.043 2.986 -0.426
H -1.464 -2.518 3.597
C 2.730 -2.032 -1.925
O -1.611 5.424 1.509
H 0.242 -2.372 3.164
N -0.885 -0.702 2.617
H -0.958 -3.903 1.541
C 4.987 -0.750 -2.816
C -0.776 -2.160 2.832
H -1.858 -0.413 2.599
C -1.294 2.406 0.969
F 5.122 -2.274 -4.594
H -2.043 -2.565 1.141
N -1.620 1.170 0.457
C 3.171 -0.933 -1.205
C 0.048 -0.075 -1.156
H -0.423 -0.152 3.338
F 6.075 -0.128 -3.239
C -3.504 0.229 -0.913
H -2.942 -0.701 -0.862
O -3.581 5.197 0.486
C -2.774 1.295 -0.181
H -0.813 4.870 1.725
C 4.323 -0.306 -1.686
C 3.364 -2.493 -3.061
O 0.665 1.475 1.817
C 4.503 -1.846 -3.512
F 4.816 0.752 -1.053
C -1.042 -2.817 1.494
H -3.628 0.495 -1.963
F 1.641 -2.714 -1.521
O -0.099 0.085 -2.272
N -0.070 -2.269 0.511
H -4.492 0.064 -0.483
F 2.888 -3.547 -3.711
H 0.855 -2.640 0.714
C -2.544 4.740 0.894
O 0.273 3.647 2.201

LUMO level (alpha / beta) = -3.46 / -5.37 eV
Charge = +1
Relative energy (zero: lowest compared OMol25 entry of this formula, charge and spin) = 150.4 kJ/mol
F_max = 1.1 eV Å⁻¹
2S+1 = 2
Gap between HOMO and LUMO (alpha / beta) = 8.262 / 6.924 eV
Calculated total energy = -113475.376 eV
E_HOMO (alpha / beta) = -11.73 / -12.29 eV


(2)
ORCA calculation (wB97M-V/def2-TZVPD) on a molecular structure, C15H13N2NiO7SbSe4Si.

Atoms and positions in Å:
H 2.205 -1.922 -1.444
H -0.916 -3.146 -3.274
Se -1.113 0.104 -3.959
H 1.675 -0.559 0.461
Se -0.197 -0.054 -7.768
H 2.446 3.432 2.328
C 0.830 -0.976 1.000
C 0.452 2.861 2.898
C 0.837 -0.959 2.389
H -0.260 -1.429 4.173
N 2.530 2.644 -0.121
C -0.943 1.872 1.187
C -0.248 -1.464 3.090
H -2.191 -2.400 0.485
Si -0.217 -1.474 -1.598
C 1.345 2.546 0.731
C -2.330 1.301 0.894
H 1.657 -1.763 -3.126
H -2.143 -3.007 -2.016
N 0.619 3.293 4.266
C -1.331 -1.991 2.397
C 0.123 1.975 0.224
H 1.907 -0.314 -2.134
O 0.042 1.640 -0.999
Sb -0.606 -1.510 -5.934
O -3.197 1.460 1.751
O 2.705 1.810 -0.982
C -1.328 -2.010 1.011
O 1.680 3.816 4.588
C 1.508 3.001 2.017
H -1.582 2.200 3.162
H 1.677 -0.527 2.921
C 1.565 -1.350 -2.122
H -0.639 -3.884 -1.690
O 3.258 3.620 0.035
C -1.068 -3.018 -2.206
C -0.754 2.304 2.477
Se -2.339 -3.217 -6.008
O -0.302 3.119 5.051
Se 0.963 -3.356 -5.425
Ni -1.361 0.523 -1.752
C -0.247 -1.504 0.286
H -2.189 -2.367 2.941
O -2.526 0.677 -0.207

LUMO level (alpha / beta) = 3.75 / 2.78 eV
Charge = -2
F_max = 0.9 eV Å⁻¹
2S+1 = 3
Gap between HOMO and LUMO (alpha / beta) = 6.992 / 5.965 eV
Calculated total energy = -349922.835 eV
E_HOMO (alpha / beta) = -3.24 / -3.19 eV


(3)
ORCA calculation (wB97M-V/def2-TZVPD) on a single C15H13N3O3S2 molecule in a non-equilibrium geometry.

Atoms and positions in Å:
C -0.809 -1.425 3.091
S -1.764 -2.904 3.162
C 1.734 3.773 -3.674
H 0.312 5.443 -3.304
N -0.928 1.304 1.589
C -1.262 1.249 0.210
O 1.350 1.256 1.572
H 0.031 0.252 -2.457
C 0.271 0.972 3.672
H -0.501 -5.612 -0.782
H 0.068 1.926 4.161
H 2.573 4.202 -4.182
C 0.616 4.417 -3.245
H 2.243 1.610 -3.486
H 0.720 1.248 -0.211
H 1.090 -3.891 -1.506
C -0.049 -2.404 1.286
O -0.226 3.559 -2.650
C 1.562 2.416 -3.308
S -1.022 -0.166 4.263
N 0.003 -1.317 2.107
H -1.836 -5.313 1.275
C -0.366 1.191 -2.056
H -1.440 1.250 -2.257
O -2.428 1.217 -0.105
C -1.135 -4.559 0.957
N -0.211 1.215 -0.616
C -0.965 -3.399 1.691
C 0.697 -2.580 0.126
H -1.746 1.244 2.185
C 0.520 -3.737 -0.603
H 1.244 0.599 3.992
C 0.347 2.338 -2.690
C 0.297 1.155 2.161
C -0.383 -4.716 -0.193
H 1.394 -1.813 -0.173

LUMO level = 0.47 eV
SMILES = O=C(CSc1nc2ccccc2s1)NC(=O)NCc1ccco1
Relative energy (zero: lowest compared OMol25 entry of this formula, charge and spin) = 1.2 kJ/mol
F_max = 1.0 eV Å⁻¹
Gap between HOMO and LUMO = 9.109 eV
Calculated total energy = -48050.332 eV
E_HOMO = -8.64 eV


(4)